Alien Ant Farm + SOiL @ O2 Institute Birmingham, 12 February 2018
The first thing I’m going to say about this gig is that Soil should most certainly have been joint headliners, and as such I’m going to give them half the column inches of this review. I always turn up for the support band because I’ve come across some fantastic musicians that way (Glen Hansard supporting Eddie Vedder is one example) but having only heard Soil’s first album I wasn’t expecting much other than the pleasure of seeing ‘Halo’ performed live and a few memories of my late teenage years spent at the one local ‘alternative’ venue in the town where I grew up. So boy was I surprised by their epic performance.
The set was mind-blowingly cohesive, note perfect and contained a whole lot of hair (good going for a band whose members are in their 40s!).
Chicago band Soil worked their way through their back catalogue with hits such as ‘Pride’, ‘Retribution’, ‘The Hate Song’ and ‘Unreal’, and played a fantastic cover of Ram Jam’s ‘Black Betty’ which gave guitarist Adam Zadel the chance to let rip on his black and white flamed Les Paul.
Singer Ryan McCombs had great rapport with the audience throughout the set, with some witty observations (‘If I find a really heavy stone I could say I only weigh one stone’).
For one awful moment at the end of the set I actually thought they were going to finish without playing ‘Halo’ when Ryan went off the stage with his mic. But moments later he appeared in the crowd and finished the set with this classic early 2000s single whilst moshing with the fans.
Around 9.30pm Californian band Alien Ant Farm took to the stage. Drummer Mike Cosgrove was raised above the others with a funky sparkly drum kit and singer Dryden Mitchell had bleached his hair a bright blonde for the occasion. Current bassist Tim Peugh brought some movement to the performance – dancing around the stage whilst playing AAF’s trade mark five-string bass lines – however I have to confess I missed comedic founding bass player Tye Zamora who always had some cracking facial expressions.
The set opened with ‘Bad Morning’ from Up In The Attic, and it didn’t take long for the singing to start. By track three — hit single ‘Movies’ – the whole crowd were joining in. My personal highlight was ‘These Days’, before which we were reminded of the classic video for the song where they crashed the 2003 MTV BTE Awards.
Overall the sound was well-mixed, but at points the distortion on the vocals made it hard to understand the lyrics and produced an overly harsh sound. The effect was still present between some songs meaning that when Dryden dedicated the song ‘Attitude’ to the late Chester Bennington of Linkin Park, I for one was unable to make out what was most likely a touching tribute. It had something to do with San Francisco and a favourite song…
Other highlights during the set included ‘Glow’, a hit single from album TruANT, with some zesty lead guitar from Terry Corso, and the more energetic audience members enjoyed a mosh pit during the heavy ‘Simpatico’.
The main set closed with ‘Wish’ before the band returned for a lively encore of ‘Sticks and Stones’ and the band’s best-known single — a rock cover of Michael Jackson’s ‘Smooth Criminal’.
The fun didn’t end there: Dryden invited the whole crowd to hang out with him afterwards at rock bar Subside — great business for them on a cold Monday night!
Set List
- Bad Morning
- Forgive & Forget
- Movies
- What I Feel Is Mine
- These Days
- Lord Knows
- Never Meant
- Attitude (closing with “In The End” snippet by
- Glow
Someone pasted quantum chemistry results at this point:
'''
C9H19B | ωB97M-V/def2-TZVPD

Geometry (Å):
B: 0.205 0.476 -0.460
C: -0.283 0.345 0.962
C: -1.411 -0.346 1.369
C: -0.559 1.309 -1.560
C: 0.475 1.114 2.026
C: -2.266 -1.207 0.404
C: -2.106 -0.282 2.715
C: 1.344 -1.430 -2.011
C: 2.724 0.597 -1.458
C: 1.567 -0.303 -0.935
H: -0.036 2.097 -2.092
H: -1.570 1.817 -1.389
H: -0.837 0.686 -2.411
H: 1.456 0.643 2.052
H: 0.189 0.978 3.101
H: 0.604 2.191 1.785
H: -2.256 -0.821 -0.628
H: -1.619 -2.169 0.298
H: -3.266 -1.460 0.734
H: -1.574 -0.071 3.660
H: -2.560 -1.389 2.827
H: -2.770 0.599 2.551
H: 0.803 -0.725 -2.805
H: 0.565 -2.141 -1.679
H: 2.263 -1.925 -2.187
H: 2.632 0.609 -2.487
H: 3.728 0.041 -1.323
H: 2.657 1.603 -1.025
H: 1.905 -0.836 -0.035

The calculation puts the HOMO energy at -8.22 eV. As for the SMILES: CB(C(C)=C(C)C)C(C)C. The max |F| is 0.0936 Eh/bohr. As for the orbital gap: 8.87 eV. Its molecular weight is 138.063 Da. Its energy above the lowest of the compared OMol25 structures with the same formula, charge and spin is 0.017 eV. As for the net charge: 0. The electronic energy comes out at -10315.3125 eV.

Atom charges from the natural (NBO) analysis, given in e for atoms 1 to 4: 1.024 -0.452 0.059 -1.064

~~~~~

Below is a structure of composition C23H49N2O2P3W at a distorted geometry, with properties calculated with ωB97M-V/def2-TZVPD.

Geometry (Å):
W -1.129 -0.867 -0.783
P 0.993 -0.756 -1.787
P -1.003 1.225 0.420
P -2.737 -0.395 -2.481
H -1.641 -3.068 3.172
C -1.890 -3.902 2.511
C -0.974 -4.785 2.112
H 0.071 -4.788 2.457
C 2.445 -0.588 -0.680
C 1.270 0.655 -2.886
C 1.300 -2.179 -2.858
C -2.292 1.539 1.649
C 0.560 1.546 1.309
C -1.074 2.680 -0.696
C -3.291 -1.795 -3.489
C -2.458 0.917 -3.696
C -4.217 0.122 -1.518
H -2.944 -4.120 2.370
H -1.220 -5.728 1.600
H 2.264 -0.848 0.377
H 2.794 0.461 -0.718
H 3.246 -1.235 -1.078
H 1.721 1.475 -2.324
H 0.356 1.005 -3.368
H 1.974 0.311 -3.647
H 1.506 -3.091 -2.283
H 2.172 -1.918 -3.477
H 0.446 -2.369 -3.520
H -2.358 2.612 1.861
H -2.081 1.014 2.586
H -3.267 1.201 1.287
H 0.423 2.351 2.042
H 1.356 1.857 0.627
H 0.911 0.660 1.844
H -1.327 3.567 -0.111
H -1.824 2.565 -1.475
H -0.111 2.851 -1.177
H -3.715 -1.414 -4.419
H -4.046 -2.377 -2.955
H -2.441 -2.441 -3.724
H -3.223 0.835 -4.480
H -1.478 0.806 -4.170
H -2.526 1.920 -3.257
H -5.091 0.055 -2.184
H -4.115 1.156 -1.156
H -4.371 -0.541 -0.656
C 0.545 -4.518 -0.281
C 0.634 -3.220 0.573
C -0.605 -2.386 0.469
C -1.819 -2.874 -0.430
C -1.604 -3.918 -1.411
C -0.495 -4.708 -1.285
O 1.443 -5.321 0.004
H 1.706 -2.881 0.469
H 0.772 -3.475 1.636
H -1.002 -2.123 1.453
H -2.739 -2.929 0.163
H -2.385 -4.125 -2.156
H -0.375 -5.584 -1.907
C 4.799 -0.682 3.466
N 3.661 -0.037 4.053
C 3.860 0.823 5.198
C 2.671 1.732 5.394
C 1.392 0.927 5.434
N 1.343 -0.075 4.392
C 0.053 -0.679 4.121
C 2.440 -0.546 3.689
O 2.327 -1.344 2.744
H 4.862 -1.739 3.751
H 5.701 -0.172 3.795
H 4.729 -0.638 2.378
H 4.010 0.230 6.116
H 4.770 1.395 5.008
H 2.621 2.494 4.604
H 2.776 2.236 6.361
H 0.517 1.581 5.319
H 1.303 0.430 6.417
'''
- Courage
- Simpatico
- Wish
- Sticks And Stones
- Smooth Criminal
Reviewer: Chrissie Duxson
Photographer: Chris Bowley